• Brief:
It remains to retype only the lines below with the word "K2LiCd6Ag" in them.

• Entries:
********
Here is a geometry-optimized Re2MoW structure from the Alexandria database. Energies are from PBE.

Summary:
- SG = No. 99
- theoretical density (kg/m3) = 17133
- total energy (eV per atom) = -11.990
- total magnetic moment (Bohr magnetons per cell) = 0.00
- ΔE_f (kJ/mol of formula units) = 69

Unit cell a=2.771 b=2.771 c=8.232 alpha=90.00 beta=90.00 gamma=90.00
Fractional positions:
Re: 0.000 0.000 0.012
Re: 0.500 0.500 0.237
Mo: 0.500 0.500 0.761
W: 0.000 0.000 0.490

~~~~~

(1)
ZnFeBMo | PBE | optimized geometry

Magnetic moment, μB per atom: 0.5358
ΔE to the lowest computed polymorph, kJ/mol of formula units: 0
VASP energy, eV per atom: -6.292

Lattice parameters (Å, degrees): 5.715 5.715 5.715 90.00 90.00 90.00
Space group F-43m (No. 216)
Unique sites:
Zn 0.000 0.000 0.000 [4 per cell]
Fe 0.250 0.250 0.750 [4 per cell]
B 0.000 0.000 0.500 [4 per cell]
Mo 0.250 0.250 0.250 [4 per cell]


(2)
NaYZrPd | PBE | optimized geometry

Magnetic moment, μB per atom: 0.2433
ΔE to the lowest computed polymorph, kJ/mol of formula units: 0
VASP energy, eV per atom: -5.337

Lattice parameters (Å, degrees): 7.069 7.069 7.069 90.00 90.00 90.00
Space group F-43m (No. 216)
Unique sites:
Na 0.000 0.000 0.000 [4 per cell]
Y 0.250 0.250 0.250 [4 per cell]
Zr 0.250 0.250 0.750 [4 per cell]
Pd 0.000 0.000 0.500 [4 per cell]


(3)
Nd2Cl2O | PBE | optimized geometry

Magnetic moment, μB per atom: 0.0036
VASP energy, eV per atom: -5.864

Lattice parameters (Å, degrees): 6.867 11.260 5.598 90.00 90.00 90.00
Space group Ibam (No. 72)
Unique sites:
Nd 0.197 0.115 0.000 [8 per cell]
Cl 0.131 0.371 0.000 [8 per cell]
O 0.000 0.000 0.250 [4 per cell]

~~~~~

The following is a DFT calculation (PBE) of a relaxed structure of LaZnRe3.

The structure belongs to space group Pm-3m (No. 221); the cell edges are 4.8395, 4.8395 and 4.8395 Å and the angles 90.00°, 90.00° and 90.00°. The inequivalent atoms are La at (0.0000, 0.0000, 0.0000), Zn at (0.5000, 0.5000, 0.5000) and Re at (0.0000, 0.0000, 0.5000).

The calculated formation energy comes out at 3047 meV per atom. The total magnetization comes out at 0.00 μB per formula unit. Its excess energy over the best structure of this formula in the dataset is 144.88 kJ per mole of atoms. The total energy is -5.6625 eV per atom. Its calculated volume is 113 Å³/cell.

=====

The following is a DFT calculation (PBE) of a relaxed structure of K3AgAu4.

The structure belongs to space group C2/m (No. 12); the cell edges are 9.8018, 8.1915 and 8.1556 Å and the angles 90.00°, 122.11° and 90.00°. The inequivalent atoms are K at (0.0000, 0.0000, 0.0000), K at (0.2321, 0.5000, 0.2902), Ag at (0.0000, 0.5000, 0.5000) and Au at (0.1373, 0.3279, 0.8382).

The calculated formation energy comes out at -182 meV per atom. The total magnetization comes out at 0.00 μB per formula unit. The total energy is -2.5888 eV per atom. Its calculated volume is 555 Å³/cell.

~~~~~

Entry 1:
First-principles (PBE) data for a relaxed K2Tl5Sn3 crystal, as listed in Alexandria.

The structure belongs to space group Ibam (No. 72); the cell edges are 12.4518, 15.1995 and 7.3684 Å and the angles 90.00°, 90.00° and 90.00°. The asymmetric unit holds K at (0.2484, 0.1252, 0.0000), Tl at (0.0000, 0.2529, 0.2500), Tl at (0.0000, 0.5000, 0.2500), Tl at (0.1315, 0.1195, 0.5000), Sn at (0.0000, 0.0000, 0.2500) and Sn at (0.1323, 0.3762, 0.0000).

The formation energy is -0.070 eV/atom. The calculation puts the calculated volume at 34.9 Å³/atom. Its crystal system is orthorhombic.


Entry 2:
First-principles (PBE) data for a relaxed K2LiCd6Ag crystal, as listed in Alexandria.

The structure belongs to space group P-1 (No. 2); the cell edges are 7.4035, 7.4854 and 7.5020 Å and the angles 90.43°, 119.32° and 119.59°. The asymmetric unit holds K at (0.1321, 0.3158, 0.1853), Li at (0.5000, 0.0000, 0.5000), Cd at (0.0150, 0.1794, 0.6204), Cd at (0.2833, 0.6636, 0.6797), Cd at (0.4409, 0.1185, 0.8357) and Ag at (0.5000, 0.5000, 0.0000).
********

• Completed:
First-principles (PBE) data for a relaxed K2LiCd6Ag crystal, as listed in Alexandria.